Next, say how many lines of the material underneath hold the word "maxima", as a bare number.
____________
The following is a calculated powder diffractogram of La4PaBi5. It was derived from a crystal structure in Alexandria, relaxed with PBE, using CuKα.

Largest 10 diffraction maxima, most intense first, 15° ≤ 2θ ≤ 90°:
3.291 Å, rel. 100; 2.327 Å, rel. 79; 1.472 Å, rel. 38; 1.900 Å, rel. 29; 1.344 Å, rel. 28; 1.097 Å, rel. 19; 1.646 Å, rel. 14; 1.164 Å, rel. 9; 3.800 Å, rel. 4; 1.985 Å, rel. 2

abc: 8.062 8.062 8.062
angles: 99.60 99.60 131.81
Atoms (fractional coordinates):
La  0.096  0.302  0.398
La  0.302  0.904  0.205
La  0.698  0.096  0.795
La  0.904  0.698  0.602
Pa  0.500  0.500  0.000
Bi  0.000  0.000  0.000
Bi  0.210  0.598  0.808
Bi  0.402  0.210  0.612
Bi  0.598  0.790  0.388
Bi  0.790  0.402  0.192



The following is a calculated powder diffractogram of La3PaBi4. It was derived from a crystal structure in Alexandria, relaxed with PBE, using CuKα.

Largest 10 diffraction maxima, most intense first, 15° ≤ 2θ ≤ 90°:
3.284 Å, rel. 100; 2.322 Å, rel. 79; 1.469 Å, rel. 38; 1.896 Å, rel. 29; 1.341 Å, rel. 28; 1.095 Å, rel. 20; 1.642 Å, rel. 14; 1.161 Å, rel. 9; 3.793 Å, rel. 3; 5.875 Å, rel. 3

abc: 8.047 8.047 8.047
angles: 131.83 131.83 70.50
Atoms (fractional coordinates):
La  0.000  0.000  0.000
La  0.250  0.750  0.500
La  0.750  0.250  0.500
Pa  0.500  0.500  0.000
Bi  0.000  0.500  0.500
Bi  0.257  0.257  0.000
Bi  0.500  0.000  0.500
Bi  0.743  0.743  0.000



The following is a calculated powder diffractogram of La4BiPbSe2. It was derived from a crystal structure in Alexandria, relaxed with PBE, using CuKα.

Largest 10 diffraction maxima, most intense first, 15° ≤ 2θ ≤ 90°:
3.194 Å, rel. 100; 2.270 Å, rel. 39; 2.248 Å, rel. 38; 1.850 Å, rel. 21; 1.434 Å, rel. 18; 1.423 Å, rel. 17; 1.306 Å, rel. 13; 1.597 Å, rel. 13; 3.870 Å, rel. 9; 1.310 Å, rel. 7

abc: 7.759 4.538 7.866
angles: 90.00 109.70 90.00
Atoms (fractional coordinates):
La  0.237  0.000  0.243
La  0.238  0.500  0.748
La  0.762  0.500  0.252
La  0.763  0.000  0.757
Bi  0.500  0.500  0.500
Pb  0.500  0.000  0.000
Se  0.000  0.000  0.500
Se  0.000  0.500  0.000



The following is a calculated powder diffractogram of La8Bi3Te4Pb. It was derived from a crystal structure in Alexandria, relaxed with PBE, using CuKα.

Largest 10 diffraction maxima, most intense first, 15° ≤ 2θ ≤ 90°:
3.288 Å, rel. 100; 2.331 Å, rel. 39; 2.319 Å, rel. 39; 1.901 Å, rel. 21; 1.473 Å, rel. 19; 1.467 Å, rel. 18; 1.343 Å, rel. 14; 1.644 Å, rel. 13; 1.098 Å, rel. 8; 1.096 Å, rel. 8

abc: 9.275 9.275 9.275
angles: 60.34 60.34 60.34
Atoms (fractional coordinates):
La  0.250  0.250  0.250
La  0.252  0.747  0.747
La  0.253  0.253  0.748
La  0.253  0.748  0.253
La  0.747  0.252  0.747
La  0.747  0.747  0.252
La  0.748  0.253  0.253
La  0.750  0.750  0.750
Bi  0.000  0.000  0.500
Bi  0.000  0.500  0.000
Bi  0.500  0.000  0.000
Te  0.000  0.000  0.000
Te  0.000  0.500  0.500
Te  0.500  0.000  0.500
Te  0.500  0.500  0.000
Pb  0.500  0.500  0.500



The following is a calculated powder diffractogram of La3Bi4Pd3. It was derived from a crystal structure in Alexandria, relaxed with PBE, using CuKα.

Largest 10 diffraction maxima, most intense first, 15° ≤ 2θ ≤ 90°:
2.740 Å, rel. 100; 3.242 Å, rel. 35; 2.093 Å, rel. 21; 2.293 Å, rel. 21; 2.011 Å, rel. 20; 1.621 Å, rel. 13; 1.663 Å, rel. 11; 1.106 Å, rel. 10; 4.186 Å, rel. 10; 1.512 Å, rel. 9

abc: 8.880 8.880 8.880
angles: 109.47 109.47 109.47
Atoms (fractional coordinates):
La  0.125  0.750  0.875
La  0.250  0.625  0.375
La  0.375  0.250  0.625
La  0.625  0.375  0.250
La  0.750  0.875  0.125
La  0.875  0.125  0.750
Bi  0.000  0.332  0.500
Bi  0.000  0.832  0.500
Bi  0.168  0.168  0.168
Bi  0.332  0.500  0.000
Bi  0.500  0.000  0.332
Bi  0.500  0.000  0.832
Bi  0.668  0.668  0.668
Bi  0.832  0.500  0.000
Pd  0.125  0.875  0.250
Pd  0.250  0.125  0.875
Pd  0.375  0.625  0.750
Pd  0.625  0.750  0.375
Pd  0.750  0.375  0.625
Pd  0.875  0.250  0.125
____________
5